(Excerpt)
'''
For Li4Mn3OF11, a structure optimized by DFT (PBE+U) gives the calculated PXRD pattern in this record (Cu Kα, 1.54184 Å).
Peak positions follow from Bragg's law for the DFT cell and can differ from measured ones.

Structure:
Cell: 6.209 6.302 6.434 Å, 105.26 103.91 102.65°
Space group P1 (No. 1)
Inequivalent atoms, fractional coordinates:
Li  0.000  0.000  0.000 [1 per cell]
Li  0.076  0.209  0.611 [1 per cell]
Li  0.257  0.551  0.073 [1 per cell]
Li  0.728  0.713  0.465 [1 per cell]
Mn  0.372  0.853  0.734 [1 per cell]
Mn  0.471  0.098  0.395 [1 per cell]
Mn  0.725  0.435  0.885 [1 per cell]
O  0.475  0.158  0.707 [1 per cell]
F  0.068  0.881  0.663 [1 per cell]
F  0.186  0.169  0.337 [1 per cell]
F  0.266  0.555  0.762 [1 per cell]
F  0.368  0.737  0.391 [1 per cell]
F  0.407  0.010  0.076 [1 per cell]
F  0.597  0.499  0.129 [1 per cell]
F  0.675  0.834  0.813 [1 per cell]
F  0.721  0.445  0.578 [1 per cell]
F  0.756  0.025  0.425 [1 per cell]
F  0.982  0.698  0.045 [1 per cell]
F  0.988  0.276  0.918 [1 per cell]

Largest 10 diffraction maxima, in order of rising 2θ, 2θ = 10–90°:
hkl	two_theta	I_rel
0 0 1	15.05	60
1 0 0	15.42	91
1 0 -1	17.83	33
1 -1 0	18.17	97
1 1 -1	23.32	35
0 1 1	24.88	88
0 2 -1	29.43	100
2 -1 0	30.28	71
0 2 1	38.97	30
1 0 -3	43.76	45

=====

For LiCo2OF3, a structure optimized by DFT (PBE+U) gives the calculated PXRD pattern in this record (Cu Kα, 1.54184 Å).
Peak positions follow from Bragg's law for the DFT cell and can differ from measured ones.

Structure:
Cell: 6.100 6.100 8.614 Å, 90.00 90.00 90.00°
Space group P4_3 (No. 78)
Inequivalent atoms, fractional coordinates:
Li  0.010  0.249  0.000 [4 per cell]
Co  0.243  0.726  0.887 [4 per cell]
Co  0.254  0.510  0.237 [4 per cell]
O  0.254  0.473  0.011 [4 per cell]
F  0.004  0.759  0.260 [4 per cell]
F  0.022  0.248  0.250 [4 per cell]
F  0.236  0.505  0.492 [4 per cell]

Largest 10 diffraction maxima, in order of rising 2θ, 2θ = 10–90°:
hkl	two_theta	I_rel
1 0 0	14.52	23
1 1 1	23.06	26
1 0 2	25.31	10
2 0 0	29.30	53
2 1 1	34.50	100
0 0 4	41.91	17
1 3 2	51.96	19
3 2 1	55.37	34
4 0 0	60.77	52
1 4 5	86.73	11

* * * * *

Diffraction record for SrLa2Co3O9. The powder XRD pattern is simulated, not measured: it uses DFT lattice parameters and positions (PBE+U) and copper Kα.
Neutral-atom scattering factors, no anomalous dispersion.

Top 12 peaks for 2θ from 10° to 90°, by angle:
- 2θ = 23.06°, d 3.856, I 8, hkl 1 -1 0
- 2θ = 32.71°, d 2.737, I 100, hkl -1 1 2
- 2θ = 32.79°, d 2.732, I 25, hkl 1 2 3
- 2θ = 32.94°, d 2.719, I 25, hkl 0 3 1
- 2θ = 40.50°, d 2.227, I 11, hkl 0 3 3
- 2θ = 46.79°, d 1.941, I 17, hkl 0 0 4
- 2θ = 47.07°, d 1.931, I 16, hkl 2 -2 0
- 2θ = 47.19°, d 1.926, I 16, hkl 2 4 2
- 2θ = 58.40°, d 1.580, I 25, hkl 3 3 0
- 2θ = 58.66°, d 1.574, I 14, hkl 1 5 0
- 2θ = 68.58°, d 1.368, I 14, hkl 2 -2 4
- 2θ = 77.82°, d 1.227, I 6, hkl 1 2 -5

Cell and atoms:
abc: 5.471 8.597 8.661
angles: 66.68 71.75 71.58
Positions (direct):
Sr: 0.000 0.000 0.000
Sr: 0.499 0.508 0.491
La: 0.167 0.169 0.491
La: 0.330 0.338 0.997
La: 0.654 0.671 0.998
La: 0.826 0.834 0.495
Co: 0.080 0.588 0.244
Co: 0.240 0.754 0.745
Co: 0.415 0.919 0.246
Co: 0.583 0.084 0.746
Co: 0.747 0.254 0.246
Co: 0.915 0.422 0.744
O: 0.003 0.508 0.489
O: 0.077 0.571 0.770
O: 0.100 0.111 0.228
O: 0.209 0.662 0.991
O: 0.257 0.753 0.239
O: 0.273 0.845 0.496
O: 0.279 0.255 0.746
O: 0.394 0.938 0.715
O: 0.396 0.400 0.258
O: 0.506 0.005 0.002
O: 0.587 0.608 0.726
O: 0.589 0.070 0.275
O: 0.712 0.170 0.488
O: 0.751 0.757 0.248
O: 0.779 0.342 0.003
O: 0.782 0.251 0.742
O: 0.885 0.901 0.759
O: 0.903 0.439 0.217
'''

(Request)
Your job: say how many lines of the calculation results further above hold the word "Top", as a bare number.

(Written answer)
1